[Guest post by Aaron Worthing; if you have tips, please send them here.]
It’s really kind of a tedious thing. Every week or so, liberals come up with another allegedly scientific study declaring that conservatives are stupid, misinformed, psychologically abnormal or something. Today, it comes from an organization I never heard of before, called World Public Opinion. This study is being touted by the spectacularly misinformed TPM as proof that Fox News leaves viewers misinformed.
But the hilarious part is that the authors of the study themselves are misinformed. For instance, their first question is this “is it your impression that most economists who have studied it estimate that the stimulus legislation: A) created or saved several million jobs, B) saved or created a few jobs, or C) caused job losses.” The first option is marked as correct.
Now first, that is an ambiguous question. Do they mean net or gross? In other words, do they mean the number of jobs “saved or created” numbered in the millions with or without it being offset by the number of jobs lost? Because it is self-evidently true we have lost more jobs than we have gained.
But here’s the funny part. Scroll down to the part where they allegedly prove what is the correct answer and read closely. They offer two pieces of proof of their claim that the first answer is correct. First they say:
“[The] CBO concluded that for the third quarter of 2010, ARRA had “increased the number of full time-equivalent jobs by 2.0 to 5.2 million compared to what those amounts would have been otherwise.”
But there are two problems with that. First, um, we are going to trust the government to estimate the success of the government on this? Really?
Second, that utterly fails to relate to the question, which is whether a majority of economists who studied the question believe this to be the case.
They do a little better with their second piece of evidence:
“Since 2003, the Wall Street Journal has maintained a panel of 55-60 economists which it questions regularly, in an effort to move beyond anecdotal reporting of expert opinion… In March 2010 the panel was asked more broadly about the effect of the ARRA on growth. Seventy-five percent said it was a net positive.”
Which is better, but again doesn’t prove the assertion. First, once again, there is no evidence that this represents the majority of economists. Second, there is no evidence they studied the issue—they could just be shooting their mouths off, or maybe even just trusting the CBO. Third, growth is not the same as creating (or, barf, saving) jobs. And fourth even then all they said was it was a “net positive” which lines up with answer B, not answer A, which they marked as correct.
They don’t fare any better with the next question: “Is it your impression that among economists who have estimated the effect of the health care reform law on the federal budget deficit over the next ten years: a) more think it will not increase the deficit, b) views are evenly divided, and c) more think it will increase the deficit.” Allegedly A is the correct answer.
~~~
[1]
VASP calculation (PBE) on an optimized crystal structure of LaTb3Cd2.

The structure in POSCAR format:
```
LaTb3Cd2
1.0
-2.075 3.080 -0.049
-1.804 -1.263 -2.990
-8.564 -5.648 7.552
Tb Cd La
3 2 1
Direct
0.000 0.000 0.300
0.000 0.000 0.000
0.000 0.000 0.700
0.500 0.500 0.150
0.500 0.500 0.850
0.500 0.500 0.500
```

Values from the calculation:
Space-group type: P4/mmm, No. 123

[2]
VASP calculation (PBE) on an optimized crystal structure of LaTb6Cd2.

The structure in POSCAR format:
```
LaTb6Cd2
1.0
-3.272 3.603 2.833
-5.859 -7.070 4.536
3.445 -2.399 9.342
Tb Cd La
12 4 2
Direct
0.207 0.002 0.218
0.293 0.782 0.998
0.556 0.331 0.533
0.707 0.218 0.002
0.944 0.467 0.669
0.153 0.348 0.123
0.056 0.533 0.331
0.653 0.123 0.348
0.793 0.998 0.782
0.444 0.669 0.467
0.847 0.652 0.877
0.347 0.877 0.652
0.899 0.806 0.521
0.101 0.194 0.479
0.601 0.479 0.194
0.399 0.521 0.806
0.250 0.169 0.831
0.750 0.831 0.169
```

Values from the calculation:
Space-group type: C2/c, No. 15

[3]
VASP calculation (PBE) on an optimized crystal structure of La2Tb3Cd4.

The structure in POSCAR format:
```
La2Tb3Cd4
1.0
-0.437 -1.837 6.672
8.347 0.105 0.575
-0.063 9.881 -0.887
Tb La Cd
6 4 8
Direct
0.000 0.000 0.000
0.004 0.750 0.507
0.996 0.250 0.493
0.496 0.250 0.493
0.504 0.750 0.507
0.500 0.500 0.000
0.593 0.902 0.185
0.407 0.098 0.815
0.907 0.402 0.815
0.093 0.598 0.185
0.675 0.750 0.851
0.336 0.489 0.673
0.836 0.011 0.673
0.825 0.250 0.149
0.164 0.989 0.327
0.175 0.750 0.851
0.325 0.250 0.149
0.664 0.511 0.327
```

Values from the calculation:
Space-group type: Cmce, No. 64

[4]
VASP calculation (PBE) on an optimized crystal structure of LaTb3Cd.

The structure in POSCAR format:
```
LaTb3Cd
1.0
3.739 0.001 -0.001
1.870 6.570 0.494
-0.003 -0.192 12.712
Tb Cd La
6 2 2
Direct
0.634 0.733 0.977
0.964 0.071 0.811
0.366 0.267 0.023
0.036 0.929 0.189
0.856 0.289 0.549
0.144 0.711 0.451
0.450 0.099 0.373
0.550 0.901 0.627
0.764 0.471 0.249
0.236 0.529 0.751
```

Values from the calculation:
Space-group type: P-1, No. 2

[5]
VASP calculation (PBE) on an optimized crystal structure of La5TbCd.

The structure in POSCAR format:
```
La5TbCd
1.0
-5.448 -0.128 -3.740
4.144 1.083 -5.033
1.765 -11.413 2.396
La Tb Cd
10 2 2
Direct
0.610 0.972 0.656
0.776 0.455 0.528
0.972 0.610 0.156
0.141 0.859 0.750
0.545 0.224 0.972
0.390 0.028 0.344
0.028 0.390 0.844
0.224 0.545 0.472
0.455 0.776 0.028
0.859 0.141 0.250
0.495 0.505 0.250
0.505 0.495 0.750
0.000 0.000 0.500
0.000 0.000 0.000
```

Values from the calculation:
Space-group type: C2/c, No. 15

[6]
VASP calculation (PBE) on an optimized crystal structure of La3Tb4Cd.

The structure in POSCAR format:
```
La3Tb4Cd
1.0
-3.024 4.669 -2.915
-4.391 0.679 5.642
7.208 7.599 4.695
Tb La Cd
8 6 2
Direct
0.490 0.374 0.000
0.150 0.380 0.763
0.963 0.125 0.000
0.463 0.875 0.500
0.650 0.620 0.263
0.990 0.626 0.500
0.650 0.620 0.737
0.150 0.380 0.237
0.003 0.135 0.500
0.146 0.861 0.769
0.503 0.865 0.000
0.146 0.861 0.231
0.646 0.139 0.731
0.646 0.139 0.269
~~~
And once again, they go to the CBO, which everyone knows was manipulated by being required to make assumptions, like that Congress would not pass laws (like the Doc Fix) it ultimately did pass, stating that:
In March 2010 CBO released an estimate of how the then-pending health care legislation would affect the deficit if passed. CBO calculated that the net effect through 2019 would be to reduce the deficit by $124 billion (this figure excludes the education provisions that were also part of the legislation). Beyond 2019, the CBO estimated that the Affordable Care Act would reduce the deficit by roughly 0.5% of GDP.
But not only does that suffer from the same problem of having nothing to do with the opinion of economists who study it, but it’s also contradicted by later reports. For instance in August of this year, the Washington Times wrote:
The [CBO’s] latest projections suggest that the net increase in the deficit attributable to the federal health care law will exceed a quarter-trillion dollars over the next decade.
And meanwhile they don’t even bother to quote the WSJ (why not?), but instead quote from Medicare Trustees:
Regarding Medicare’s contribution to the overall budget deficit, the 2010 annual report of the Boards of Trustees of the Medicare trust funds stated that “The financial status of the HI (Hospital Insurance) trust fund is substantially improved by the lower expenditures and additional tax revenues instituted by the Affordable Care Act. These changes are estimated to postpone the exhaustion of HI trust fund assets from 2017 under the prior law to 2029 under current law and to 2028 under the alternative scenario” (a model that made harsher assumptions). The trustees assessed that overall, “The Affordable Care Act improves the financial outlook for Medicare substantially,” although “the effects of some of the new law’s provisions on Medicare are not known at this time.”
Which not only doesn’t support their assertion in any way, shape or form, but if anything tends to undercut their claims. If Medicare is in better financial shape does that suggest a reduction in spending? It seems to me that the more well-funded a federal program is, the less likely we are to see deficit reduction. Indeed an increase in spending necessarily results in an increase in the deficit unless it is offset by cuts somewhere else.
(1)
Compound: CoHClO
Source: Alexandria via LeMat-Bulk
Functional: GGA+U
Structure: optimized geometry

Cell lengths 3.390, 3.390, 15.952 Å; angles 90.00, 90.00, 120.00 degrees
Sites, in units of the cell vectors:
Co 0.000 0.000 0.000
Co 0.333 0.667 0.667
Co 0.667 0.333 0.333
H 0.000 0.000 0.779
H 0.333 0.667 0.446
H 0.667 0.333 0.112
Cl 0.000 0.000 0.235
Cl 0.333 0.667 0.902
Cl 0.667 0.333 0.569
O 0.000 0.000 0.718
O 0.333 0.667 0.384
O 0.667 0.333 0.051

Values from the calculation:
space group	R3m
D(E_F)	0.0	states/eV/cell
final energy	-4.7917	eV per atom
calculated volume	158.8	Å³ per cell

---

(2)
Compound: CoH12Cl2O6
Source: Alexandria via LeMat-Bulk
Functional: GGA+U
Structure: optimized geometry

Cell lengths 6.301, 6.301, 6.804 Å; angles 116.64, 116.64, 68.24 degrees
Sites, in units of the cell vectors:
Co 0.000 0.000 0.000
H 0.182 0.182 0.546
H 0.197 0.581 0.724
H 0.217 0.674 0.222
H 0.263 0.263 0.824
H 0.326 0.783 0.778
H 0.419 0.803 0.276
H 0.581 0.197 0.724
H 0.674 0.217 0.222
H 0.737 0.737 0.176
H 0.783 0.326 0.778
H 0.803 0.419 0.276
H 0.818 0.818 0.454
Cl 0.276 0.276 0.145
Cl 0.724 0.724 0.855
O 0.168 0.758 0.750
O 0.242 0.832 0.250
O 0.281 0.281 0.695
O 0.719 0.719 0.305
O 0.758 0.168 0.750
O 0.832 0.242 0.250

Values from the calculation:
space group	C2/m
D(E_F)	0.0	states/eV/cell
final energy	-4.7808	eV per atom
calculated volume	211.0	Å³ per cell

---

(3)
Compound: CoH5SeClO5
Source: Alexandria via LeMat-Bulk
Functional: GGA+U
Structure: optimized geometry

Cell lengths 9.442, 17.381, 7.390 Å; angles 90.00, 90.00, 90.00 degrees
Sites, in units of the cell vectors:
Co 0.000 0.000 0.000
Co 0.000 0.500 0.000
Co 0.154 0.250 0.060
Co 0.346 0.750 0.560
Co 0.500 0.000 0.500
Co 0.500 0.500 0.500
Co 0.654 0.250 0.440
Co 0.846 0.750 0.940
H 0.042 0.063 0.397
H 0.042 0.437 0.397
H 0.089 0.203 0.400
H 0.089 0.297 0.400
H 0.157 0.664 0.743
H 0.157 0.836 0.743
H 0.191 0.706 0.259
H 0.191 0.794 0.259
H 0.236 0.608 0.605
H 0.236 0.892 0.605
H 0.264 0.108 0.105
H 0.264 0.392 0.105
H 0.309 0.206 0.759
H 0.309 0.294 0.759
H 0.343 0.164 0.243
H 0.343 0.336 0.243
H 0.411 0.703 0.900
H 0.411 0.797 0.900
H 0.458 0.563 0.897
H 0.458 0.937 0.897
H 0.542 0.063 0.103
H 0.542 0.437 0.103
H 0.589 0.203 0.100
H 0.589 0.297 0.100
H 0.657 0.664 0.757
H 0.657 0.836 0.757
H 0.691 0.706 0.241
H 0.691 0.794 0.241
H 0.736 0.608 0.895
H 0.736 0.892 0.895
H 0.764 0.108 0.395
H 0.764 0.392 0.395
H 0.809 0.206 0.741
H 0.809 0.294 0.741
H 0.843 0.164 0.257
H 0.843 0.336 0.257
H 0.911 0.703 0.600
H 0.911 0.797 0.600
H 0.958 0.563 0.603
H 0.958 0.937 0.603
Se 0.184 0.052 0.657
Se 0.184 0.448 0.657
Se 0.316 0.552 0.157
Se 0.316 0.948 0.157
Se 0.684 0.052 0.843
Se 0.684 0.448 0.843
Se 0.816 0.552 0.343
Se 0.816 0.948 0.343
Cl 0.024 0.649 0.027
Cl 0.024 0.851 0.027
Cl 0.476 0.149 0.527
Cl 0.476 0.351 0.527
Cl 0.524 0.649 0.473
Cl 0.524 0.851 0.473
Cl 0.976 0.149 0.973
Cl 0.976 0.351 0.973
O 0.044 0.504 0.728
O 0.044 0.996 0.728
O 0.084 0.250 0.325
O 0.103 0.101 0.469
What this study is, is really a political paper pretending to be a scientific paper. Which shouldn’t be surprising given the list of supporters they have. Its funny how the same people keep turning up.
[Posted and authored by Aaron Worthing.]